File:
A plane-wave DFT calculation with GGA+U was carried out for a geometry-optimized V6O13 structure.

POSCAR file:
```
V6O13
1.0
3.755 0.000 0.000
0.000 10.259 0.000
0.000 2.289 11.951
V O
12 26
Direct
0.467 0.004 0.851
0.967 0.996 0.649
0.533 0.996 0.149
0.033 0.004 0.351
0.498 0.636 0.913
0.998 0.364 0.587
0.502 0.364 0.087
0.002 0.636 0.413
0.502 0.634 0.215
0.002 0.366 0.285
0.498 0.366 0.785
0.998 0.634 0.715
0.489 0.000 0.683
0.989 0.000 0.817
0.511 0.000 0.317
0.011 0.000 0.183
0.502 0.614 0.381
0.002 0.386 0.119
0.498 0.386 0.619
0.998 0.614 0.881
0.499 0.588 0.754
0.999 0.412 0.746
0.501 0.412 0.246
0.001 0.588 0.254
0.500 0.000 0.000
0.000 0.000 0.500
0.493 0.802 0.886
0.993 0.198 0.614
0.507 0.198 0.114
0.007 0.802 0.386
0.508 0.802 0.178
0.008 0.198 0.322
0.492 0.198 0.822
0.992 0.802 0.678
0.500 0.591 0.060
0.000 0.409 0.440
0.500 0.409 0.940
0.000 0.591 0.560
```

Results
As for the symmetry: P2_1/c (14). As for the magnetic moment: 4.0 μB/f.u. The calculation puts the MP2020-corrected energy at -8.65 eV/atom. The density comes out at 3.71 g/cm3. For the calculated formation energy, the calculation gives -2.39 eV/atom.

A plane-wave DFT calculation with GGA+U was carried out for a geometry-optimized VO2 structure.

POSCAR file:
```
VO2
1.0
6.011 0.000 0.000
-2.984 5.228 0.000
-0.090 -0.119 14.188
V O
12 24
Direct
0.311 0.635 0.834
0.863 0.675 0.835
0.978 0.973 0.507
0.823 0.185 0.835
0.530 0.010 0.503
0.312 0.161 0.346
0.332 0.167 0.716
0.653 0.317 0.181
0.499 0.525 0.503
0.175 0.332 0.166
0.173 0.847 0.163
0.665 0.831 0.044
0.700 0.337 0.902
0.996 0.495 0.757
0.165 0.363 0.902
0.138 0.798 0.903
0.355 0.670 0.564
0.506 0.499 0.758
0.670 0.837 0.427
0.485 0.989 0.761
0.667 0.832 0.910
0.835 0.686 0.567
0.817 0.150 0.567
0.003 0.006 0.762
0.055 0.028 0.249
0.196 0.882 0.420
0.177 0.303 0.420
0.355 0.180 0.097
0.334 0.170 0.582
0.485 0.027 0.251
0.482 0.450 0.253
0.609 0.313 0.421
0.820 0.138 0.089
0.819 0.677 0.088
0.995 0.503 0.218
0.354 0.677 0.088
```

Results
As for the symmetry: P1 (1). As for the magnetic moment: 1.0 μB/f.u. The calculation puts the MP2020-corrected energy at -8.64 eV/atom. The density comes out at 3.71 g/cm3. For the calculated formation energy, the calculation gives -2.32 eV/atom.

A plane-wave DFT calculation with GGA+U was carried out for a geometry-optimized V2O5 structure.

POSCAR file:
```
V2O5
1.0
1.805 -5.417 0.000
1.805 5.417 0.000
0.000 0.000 11.535
V O
4 10
Direct
0.705 0.295 0.603
0.295 0.705 0.397
0.295 0.705 0.103
0.705 0.295 0.897
0.763 0.237 0.750
0.557 0.443 0.615
0.249 0.751 0.568
0.751 0.249 0.432
0.443 0.557 0.385
0.237 0.763 0.250
0.443 0.557 0.115
0.557 0.443 0.885
0.751 0.249 0.068
0.249 0.751 0.932
```

Results
As for the symmetry: Cmcm (63). The calculation puts the MP2020-corrected energy at -8.41 eV/atom. The density comes out at 2.68 g/cm3. For the calculated formation energy, the calculation gives -2.28 eV/atom.

A plane-wave DFT calculation with GGA+U was carried out for a geometry-optimized VO2 structure.

POSCAR file:
```
VO2
1.0
4.876 0.000 0.000
0.914 6.432 0.000
1.099 0.863 8.649
V O
4 8
Direct
0.971 0.172 0.983
0.029 0.828 0.017
0.357 0.010 0.200
0.643 0.990 0.800
0.280 0.754 0.157
0.720 0.246 0.843
0.292 0.015 0.384
0.708 0.985 0.616
0.741 0.005 0.133
0.259 0.995 0.867
0.194 0.261 0.109
0.806 0.739 0.891
```

Results
As for the symmetry: P-1 (2). As for the magnetic moment: 0.0 μB/f.u. The calculation puts the MP2020-corrected energy at -8.32 eV/atom. The density comes out at 2.03 g/cm3. For the calculated formation energy, the calculation gives -1.99 eV/atom.

A plane-wave DFT calculation with GGA+U was carried out for a geometry-optimized VO2 structure.

POSCAR file:
```
VO2
1.0
-6.864 5.179 0.383
-2.460 -3.801 7.320
4.127 5.168 4.070
V O
16 32
Direct
0.982 0.202 0.875
0.202 0.982 0.625
0.798 0.982 0.125
0.518 0.298 0.125
0.798 0.018 0.625
0.018 0.202 0.375
0.482 0.298 0.625
0.202 0.018 0.125
0.702 0.518 0.875
0.702 0.482 0.375
0.018 0.798 0.875

What to do:
It remains to set down the whole of the listing above with every line break kept.

Here it is:
A plane-wave DFT calculation with GGA+U was carried out for a geometry-optimized V6O13 structure.

POSCAR file:
```
V6O13
1.0
3.755 0.000 0.000
0.000 10.259 0.000
0.000 2.289 11.951
V O
12 26
Direct
0.467 0.004 0.851
0.967 0.996 0.649
0.533 0.996 0.149
0.033 0.004 0.351
0.498 0.636 0.913
0.998 0.364 0.587
0.502 0.364 0.087
0.002 0.636 0.413
0.502 0.634 0.215
0.002 0.366 0.285
0.498 0.366 0.785
0.998 0.634 0.715
0.489 0.000 0.683
0.989 0.000 0.817
0.511 0.000 0.317
0.011 0.000 0.183
0.502 0.614 0.381
0.002 0.386 0.119
0.498 0.386 0.619
0.998 0.614 0.881
0.499 0.588 0.754
0.999 0.412 0.746
0.501 0.412 0.246
0.001 0.588 0.254
0.500 0.000 0.000
0.000 0.000 0.500
0.493 0.802 0.886
0.993 0.198 0.614
0.507 0.198 0.114
0.007 0.802 0.386
0.508 0.802 0.178
0.008 0.198 0.322
0.492 0.198 0.822
0.992 0.802 0.678
0.500 0.591 0.060
0.000 0.409 0.440
0.500 0.409 0.940
0.000 0.591 0.560
```

Results
As for the symmetry: P2_1/c (14). As for the magnetic moment: 4.0 μB/f.u. The calculation puts the MP2020-corrected energy at -8.65 eV/atom. The density comes out at 3.71 g/cm3. For the calculated formation energy, the calculation gives -2.39 eV/atom.

A plane-wave DFT calculation with GGA+U was carried out for a geometry-optimized VO2 structure.

POSCAR file:
```
VO2
1.0
6.011 0.000 0.000
-2.984 5.228 0.000
-0.090 -0.119 14.188
V O
12 24
Direct
0.311 0.635 0.834
0.863 0.675 0.835
0.978 0.973 0.507
0.823 0.185 0.835
0.530 0.010 0.503
0.312 0.161 0.346
0.332 0.167 0.716
0.653 0.317 0.181
0.499 0.525 0.503
0.175 0.332 0.166
0.173 0.847 0.163
0.665 0.831 0.044
0.700 0.337 0.902
0.996 0.495 0.757
0.165 0.363 0.902
0.138 0.798 0.903
0.355 0.670 0.564
0.506 0.499 0.758
0.670 0.837 0.427
0.485 0.989 0.761
0.667 0.832 0.910
0.835 0.686 0.567
0.817 0.150 0.567
0.003 0.006 0.762
0.055 0.028 0.249
0.196 0.882 0.420
0.177 0.303 0.420
0.355 0.180 0.097
0.334 0.170 0.582
0.485 0.027 0.251
0.482 0.450 0.253
0.609 0.313 0.421
0.820 0.138 0.089
0.819 0.677 0.088
0.995 0.503 0.218
0.354 0.677 0.088
```

Results
As for the symmetry: P1 (1). As for the magnetic moment: 1.0 μB/f.u. The calculation puts the MP2020-corrected energy at -8.64 eV/atom. The density comes out at 3.71 g/cm3. For the calculated formation energy, the calculation gives -2.32 eV/atom.

A plane-wave DFT calculation with GGA+U was carried out for a geometry-optimized V2O5 structure.

POSCAR file:
```
V2O5
1.0
1.805 -5.417 0.000
1.805 5.417 0.000
0.000 0.000 11.535
V O
4 10
Direct
0.705 0.295 0.603
0.295 0.705 0.397
0.295 0.705 0.103
0.705 0.295 0.897
0.763 0.237 0.750
0.557 0.443 0.615
0.249 0.751 0.568
0.751 0.249 0.432
0.443 0.557 0.385
0.237 0.763 0.250
0.443 0.557 0.115
0.557 0.443 0.885
0.751 0.249 0.068
0.249 0.751 0.932
```

Results
As for the symmetry: Cmcm (63). The calculation puts the MP2020-corrected energy at -8.41 eV/atom. The density comes out at 2.68 g/cm3. For the calculated formation energy, the calculation gives -2.28 eV/atom.

A plane-wave DFT calculation with GGA+U was carried out for a geometry-optimized VO2 structure.

POSCAR file:
```
VO2
1.0
4.876 0.000 0.000
0.914 6.432 0.000
1.099 0.863 8.649
V O
4 8
Direct
0.971 0.172 0.983
0.029 0.828 0.017
0.357 0.010 0.200
0.643 0.990 0.800
0.280 0.754 0.157
0.720 0.246 0.843
0.292 0.015 0.384
0.708 0.985 0.616
0.741 0.005 0.133
0.259 0.995 0.867
0.194 0.261 0.109
0.806 0.739 0.891
```

Results
As for the symmetry: P-1 (2). As for the magnetic moment: 0.0 μB/f.u. The calculation puts the MP2020-corrected energy at -8.32 eV/atom. The density comes out at 2.03 g/cm3. For the calculated formation energy, the calculation gives -1.99 eV/atom.

A plane-wave DFT calculation with GGA+U was carried out for a geometry-optimized VO2 structure.

POSCAR file:
```
VO2
1.0
-6.864 5.179 0.383
-2.460 -3.801 7.320
4.127 5.168 4.070
V O
16 32
Direct
0.982 0.202 0.875
0.202 0.982 0.625
0.798 0.982 0.125
0.518 0.298 0.125
0.798 0.018 0.625
0.018 0.202 0.375
0.482 0.298 0.625
0.202 0.018 0.125
0.702 0.518 0.875
0.702 0.482 0.375
0.018 0.798 0.875